Your job: copy only the lines further below with the word "natural" in them.

'''
1:
ORCA calculation (ωB97M-V/def2-TZVPD) on ClFH2NOP in the gas phase.

Structure (XYZ):
```
7
Properties=species:S:1:pos:R:3
N 1.267 0.348 0.703
P -0.318 -0.050 0.141
O -0.167 -0.630 -1.361
F -0.799 -1.308 1.026
Cl -2.002 0.876 -0.043
H 1.366 1.199 1.266
H 0.652 -0.435 -1.732
```

Its SMILES is N=[P@@](O)(F)Cl. The frontier orbital gap is 0.3619 Ha. Its total charge is 0.

Here are the natural (NBO) charges for atoms 1 to 4, given in e: -1.21 2.02 -0.97 -0.55

***

2:
ORCA calculation (ωB97M-V/def2-TZVPD) on ClFH2NOP in the gas phase.

Structure (XYZ):
```
7
Properties=species:S:1:pos:R:3
N -1.028 -0.031 0.772
P 0.096 -0.058 -0.282
O 1.252 0.814 0.306
F 0.876 -1.382 -0.397
Cl -0.171 0.324 -2.150
H -1.946 -0.331 0.469
H 0.922 0.664 1.281
```
'''

Here are the natural (NBO) charges for atoms 1 to 4, given in e: -1.21 2.02 -0.97 -0.55